The reader should type out the lines further below from the one with "Ac1 0.000" to the one with "_cell_angle_beta 119.79" exactly.
'''
Crystalline TlMoP2O6 at its relaxed geometry, computed with GGA+U.

Results
**Theoretical density**: 4.51 g/cm3
**Total magnetic moment**: 5.002 μB per formula unit
**Final energy**: -6.582 eV/atom
**Volume**: 16.856 Å³/atom

Lattice parameters (Å, degrees): 5.3431 5.3431 20.4526 90.00 90.00 120.00
Space group R-3 (No. 148, hexagonal axes)
Symmetry-distinct sites (fractional):
1 Tl 0.0000 0.0000 0.0000 x3
2 Mo 0.0000 0.0000 0.5000 x3
3 P 0.0000 0.0000 0.2467 x6
4 O 0.0294 0.4180 0.8953 x18

=====

No. 1
# Ac2PaBi | Alexandria | GGA-PBE | relaxed
data_Ac2PaBi
_chemical_formula_sum 'Ac2 Pa1 Bi1'
_space_group_name_H-M_alt 'P 1'
_space_group_IT_number 1
_space_group_name_Hall 'P 1'
_cell_length_a 4.121
_cell_length_b 4.121
_cell_length_c 8.426
_cell_angle_alpha 90.00
_cell_angle_beta 90.00
_cell_angle_gamma 90.00
loop_
_atom_site_label
_atom_site_fract_x
_atom_site_fract_y
_atom_site_fract_z
Ac1 0.000 0.000 0.233
Ac2 0.000 0.000 0.767
Pa1 0.500 0.500 0.500
Bi1 0.500 0.500 0.000
# energy above the most stable polymorph in this dataset	0.0120	eV per atom
# mass density	10.37	g cm⁻³
# calculated formation energy	0.02	eV/atom


No. 2
# Ag2BiSbSe4 | Alexandria | GGA-PBE | relaxed
data_Ag2BiSbSe4
_chemical_formula_sum 'Ag4 Bi2 Sb2 Se8'
_space_group_name_H-M_alt 'P 1'
_space_group_IT_number 1
_space_group_name_Hall 'P 1'
_cell_length_a 8.253
_cell_length_b 8.253
_cell_length_c 8.253
_cell_angle_alpha 120.21
_cell_angle_beta 119.79
_cell_angle_gamma 90.00
loop_
_atom_site_label
_atom_site_fract_x
_atom_site_fract_y
_atom_site_fract_z
Ag1 0.000 0.000 0.000
Ag2 0.500 0.000 0.000
Ag3 0.500 0.000 0.500
Ag4 0.500 0.500 0.500
Bi1 0.000 0.500 0.500
Bi2 0.500 0.500 0.000
Sb1 0.000 0.000 0.500
Sb2 0.000 0.500 0.000
Se1 0.247 0.246 0.001
Se2 0.251 0.242 0.491
Se3 0.251 0.759 0.009
Se4 0.256 0.754 0.501
Se5 0.744 0.246 0.499
Se6 0.749 0.241 0.991
Se7 0.749 0.758 0.509
Se8 0.753 0.754 0.999
# energy above the most stable polymorph in this dataset	0.0000	eV per atom
# mass density	7.20	g cm⁻³
# formation energy without anion corrections	-0.22	eV per atom


No. 3
# K4Ru3 | Alexandria | GGA-PBE | relaxed
data_K4Ru3
_chemical_formula_sum 'K4 Ru3'
_space_group_name_H-M_alt 'P 1'
_space_group_IT_number 1
_space_group_name_Hall 'P 1'
_cell_length_a 5.452
_cell_length_b 5.452
_cell_length_c 6.579
_cell_angle_alpha 90.00
_cell_angle_beta 90.00
_cell_angle_gamma 120.00
loop_
_atom_site_label
_atom_site_fract_x
_atom_site_fract_y
_atom_site_fract_z
K1 0.000 0.000 0.250
K2 0.000 0.000 0.750
K3 0.333 0.667 0.000
K4 0.667 0.333 0.000
Ru1 0.000 0.500 0.500
Ru2 0.500 0.000 0.500
Ru3 0.500 0.500 0.500
# mass density	4.51	g cm⁻³
# calculated formation energy	1.05	eV/atom


No. 4
# KMgIn | Alexandria | GGA-PBE | relaxed
data_KMgIn
_chemical_formula_sum 'K1 Mg1 In1'
_space_group_name_H-M_alt 'P 1'
_space_group_IT_number 1
_space_group_name_Hall 'P 1'
_cell_length_a 5.406
_cell_length_b 5.406
_cell_length_c 5.406
_cell_angle_alpha 60.00
_cell_angle_beta 60.00
_cell_angle_gamma 60.00
loop_
_atom_site_label
_atom_site_fract_x
_atom_site_fract_y
_atom_site_fract_z
K1 0.000 0.000 0.000
Mg1 0.250 0.250 0.250
In1 0.500 0.500 0.500
# energy above the most stable polymorph in this dataset	0.2947	eV per atom
# mass density	2.65	g cm⁻³
# calculated formation energy	0.23	eV/atom


No. 5
# TeAuCN2 | Alexandria | GGA-PBE | relaxed
data_TeAuCN2
_chemical_formula_sum 'Te1 Au1 C1 N2'
_space_group_name_H-M_alt 'P 1'
_space_group_IT_number 1
_space_group_name_Hall 'P 1'
_cell_length_a 3.828
_cell_length_b 3.828
_cell_length_c 4.745
_cell_angle_alpha 90.00
_cell_angle_beta 90.00
_cell_angle_gamma 90.00
loop_
_atom_site_label
_atom_site_fract_x
_atom_site_fract_y
_atom_site_fract_z
Te1 0.000 0.000 0.000
Au1 0.500 0.500 0.000
C1 0.000 0.000 0.500
N1 0.000 0.500 0.500
N2 0.500 0.000 0.500
# energy above the most stable polymorph in this dataset	0.0000	eV per atom
# mass density	8.70	g cm⁻³
# formation energy without anion corrections	2.38	eV per atom


No. 6
'''
Ac1 0.000 0.000 0.233
Ac2 0.000 0.000 0.767
Pa1 0.500 0.500 0.500
Bi1 0.500 0.500 0.000
# energy above the most stable polymorph in this dataset	0.0120	eV per atom
# mass density	10.37	g cm⁻³
# calculated formation energy	0.02	eV/atom


No. 2
# Ag2BiSbSe4 | Alexandria | GGA-PBE | relaxed
data_Ag2BiSbSe4
_chemical_formula_sum 'Ag4 Bi2 Sb2 Se8'
_space_group_name_H-M_alt 'P 1'
_space_group_IT_number 1
_space_group_name_Hall 'P 1'
_cell_length_a 8.253
_cell_length_b 8.253
_cell_length_c 8.253
_cell_angle_alpha 120.21
_cell_angle_beta 119.79